Tuesday, 29 March 2011

Thanks to the Kittiwakes!

Yesterday I complained that an aggressive Lapwing had foiled my ambition to takes some photos of a Little Ringed Plover. Today I had a totally different experience. I was walking along the cliff path from the Lighthouse towards Fan Bay when the loud cries of Kittiwakes took my attention. I'm not good at getting close to the edge of the cliffs, they are very high here and I don't think I'd bounce! I found a suitably easy place to look over and saw a group of Kittiwakes on the water just off shore. As I looked I suddenly realised I was not alone!

Someone pasted crystal structures at this point:
~~~
[1]
Starting from a structure optimized by DFT (GGA-PBE), the powder XRD pattern of HoB4Os was computed for λ = 1.5418 Å (Cu Kα).

Largest 10 diffraction maxima, in order of rising 2θ, 2θ = 15–90°:
24.98°, I = 88, hkl 0 0 1
31.00°, I = 86, hkl 0 4 0
34.56°, I = 22, hkl 1 4 0
38.21°, I = 30, hkl 2 3 0
40.22°, I = 100, hkl 0 4 1
43.12°, I = 28, hkl 1 4 1
46.19°, I = 39, hkl 2 3 1
51.26°, I = 19, hkl 0 0 2
61.12°, I = 26, hkl 0 4 2
72.49°, I = 13, hkl 1 8 1

Structure:
Lattice parameters (Å, degrees): 5.9625 11.5304 3.5645 90.00 90.00 90.00
Space group Pbam (No. 55)
Asymmetric unit:
1 Ho 0.1281 0.1503 0.0000 (multiplicity 4)
2 B 0.0253 0.6915 0.5000 (multiplicity 4)
3 B 0.1128 0.5468 0.5000 (multiplicity 4)
4 B 0.1360 0.9700 0.5000 (multiplicity 4)
5 B 0.2109 0.8141 0.5000 (multiplicity 4)
6 Os 0.1413 0.4065 0.0000 (multiplicity 4)

***

[2]
Starting from a structure optimized by DFT (GGA-PBE), the powder XRD pattern of CaCuSn was computed for λ = 1.5418 Å (Cu Kα).

Largest 10 diffraction maxima, in order of rising 2θ, 2θ = 15–90°:
22.29°, I = 29, hkl 1 0 1
24.25°, I = 34, hkl 0 6 0
32.10°, I = 23, hkl 1 3 2
33.17°, I = 100, hkl 1 6 1
38.50°, I = 28, hkl 0 9 1
39.04°, I = 40, hkl 2 0 0
39.16°, I = 72, hkl 1 0 3
46.60°, I = 29, hkl 1 6 3
47.89°, I = 20, hkl 1 9 2
55.99°, I = 18, hkl 2 9 1

Structure:
Lattice parameters (Å, degrees): 4.6147 22.0175 7.9604 90.00 90.00 90.00
Space group Imm2 (No. 44)
Asymmetric unit:
1 Ca 0.0000 0.0000 0.0000 (multiplicity 2)
2 Ca 0.0000 0.1651 0.0760 (multiplicity 4)
3 Ca 0.0000 0.3312 0.0008 (multiplicity 4)
4 Ca 0.0000 0.5000 0.0761 (multiplicity 2)
5 Cu 0.0000 0.0725 0.3732 (multiplicity 4)
6 Cu 0.0000 0.2320 0.7034 (multiplicity 4)
7 Cu 0.0000 0.3969 0.3722 (multiplicity 4)
8 Sn 0.0000 0.0975 0.7019 (multiplicity 4)
9 Sn 0.0000 0.2660 0.3752 (multiplicity 4)
10 Sn 0.0000 0.4314 0.7026 (multiplicity 4)

***

[3]
Starting from a structure optimized by DFT (GGA-PBE), the powder XRD pattern of BaPPt was computed for λ = 1.5418 Å (Cu Kα).

Largest 10 diffraction maxima, in order of rising 2θ, 2θ = 15–90°:
23.26°, I = 9, hkl 1 1 1
30.17°, I = 100, hkl 2 1 0
33.13°, I = 75, hkl 2 1 1
40.87°, I = 10, hkl 2 2 1
45.41°, I = 14, hkl 3 1 1
51.63°, I = 51, hkl 3 1 2
55.49°, I = 14, hkl 4 0 0
60.97°, I = 14, hkl 3 3 1
64.46°, I = 18, hkl 4 2 1
77.62°, I = 16, hkl 5 0 2

Structure:
Lattice parameters (Å, degrees): 6.6239 6.6239 6.6239 90.00 90.00 90.00
Space group P2_13 (No. 198)
Asymmetric unit:
1 Ba 0.1403 0.1403 0.1403 (multiplicity 4)
2 P 0.0837 0.5837 0.9163 (multiplicity 4)
3 Pt 0.1509 0.3491 0.6509 (multiplicity 4)

***

[4]
Starting from a structure optimized by DFT (GGA-PBE), the powder XRD pattern of Bi5IO7 was computed for λ = 1.5418 Å (Cu Kα).

Largest 10 diffraction maxima, in order of rising 2θ, 2θ = 15–90°:
27.58°, I = 100, hkl 0 0 4
28.80°, I = 20, hkl 6 0 -2
30.21°, I = 39, hkl 3 1 -3
30.90°, I = 12, hkl 6 0 -3
36.18°, I = 10, hkl 6 0 2
42.39°, I = 18, hkl 0 2 0
47.05°, I = 15, hkl 3 1 5
~~~

Just to my left as the cliffs curved round a young Peregrine was perched, almost at eye level. I backed away after taking a quick picture and tried to work out if I could get good views closer, without crawling right up to the cliff edge.

I did manage this and watched the bird for some time. You can tell it s a juvenile because the breast is streaked, rather than barred. This probably means that it was fledged last year as the post juvenile moult doesn't start until the March of the second calender year, but can take several months to complete.
click on picture for a screen sized image

It was quite settled while I watched but I think that when the camera was looking at it directly it must have appeared as if it was being watched by a giant eye.

After a shuffle it decided to move and I managed a couple of hurried pictures as it took to the air.

This slightly strange angle does show that although we are used to seeing the streamlined, pointed wings, they can be quite broad when it is taking off and using the uplift along the cliff face to give it lift.

Well what of the Kittiwakes? They were still down there and I could here several other small gatherings further along, noisily saying their name over and over. It would be good if this seabird had a good breeding season here. The numbers breeding along the cliffs has declined drastically over the last few years, but I'm not sure of the reason. Overall in the UK there may have been a decline of around 40% since 1940. It may be due to the worrying decline in fish stocks with a huge reduction in the number of sand-eels in the North Sea. I am not sure if this is due to the change in water temperature, due to global climate change (global warming) or the huge number taken by factory ships the turn into animal feed and fertiliser, or a mixture of both. What ever the cause we appear to be in the midst of an ecological disaster as far as sea-bird populations are concerned.


Paul said...

Hi Tony, some very nice Peregrine shots there.

Gadget said...

[Materials data that have nothing to do with the article]
/*
Starting from a DFT-relaxed cell (GGA+U, Alexandria), the powder diffractogram of GaHgMoO6 was calculated for Cu Kα (λ = 1.5418 Å).
Lines closer than 0.1° are merged.

Crystal structure
Unit cell a=5.448 b=8.889 c=4.846 alpha=90.00 beta=98.81 gamma=90.00
Space group C2 (No. 5)
Unique sites:
Ga 0.000 0.000 0.000
Hg 0.000 0.668 0.500
Mo 0.000 0.327 0.000
O 0.091 0.181 0.769
O 0.164 0.494 0.796
O 0.167 0.854 0.777

The 10 most intense peaks (2θ from 10° to 90°), in order of falling intensity:
25.01 deg, I = 100
27.38 deg, I = 74
28.60 deg, I = 66
34.55 deg, I = 48
49.87 deg, I = 35
33.28 deg, I = 34
44.96 deg, I = 26
55.12 deg, I = 24
41.22 deg, I = 22
53.98 deg, I = 21


Entry 1:
This entry pairs a crystal structure of AcPmTeIr with its computed powder diffraction line list. Radiation: Cu Ka. Structure: DFT lattice parameters and positions (GGA-PBE).
Peak positions follow from Bragg's law for the DFT cell and can differ from measured ones.

Structure:
```
AcPmTeIr
1.0
4.312 0.000 0.000
-2.156 3.734 0.000
0.000 0.000 23.404
Ac Pm Te Ir
3 3 3 3
Direct
0.000 0.000 0.000 Ac
0.333 0.667 0.667 Ac
0.667 0.333 0.333 Ac
0.000 0.000 0.195 Pm
0.333 0.667 0.862 Pm
0.667 0.333 0.529 Pm
0.000 0.000 0.771 Te
0.333 0.667 0.438 Te
0.667 0.333 0.104 Te
0.000 0.000 0.594 Ir
0.333 0.667 0.261 Ir
0.667 0.333 0.928 Ir
```

Main lines, low angle first (2θ from 10° to 90°):
2θ (°), I_rel
11.34, 22
25.03, 23
28.35, 15
30.63, 100
36.06, 21
41.90, 48
45.75, 25
52.78, 22
64.42, 13
69.57, 19

=====

Entry 2:
This entry pairs a crystal structure of Sc5Sb4H with its computed powder diffraction line list. Radiation: Cu Ka. Structure: DFT lattice parameters and positions (GGA-PBE).
Peak positions follow from Bragg's law for the DFT cell and can differ from measured ones.

Structure:
```
Sc5Sb4H
1.0
-4.549 4.549 2.920
4.549 -4.549 2.920
4.549 4.549 -2.920
Sc Sb H
5 4 1
Direct
0.000 0.000 0.000 Sc
0.100 0.298 0.599 Sc
0.298 0.699 0.198 Sc
0.501 0.100 0.802 Sc
0.699 0.501 0.401 Sc
0.197 0.999 0.395 Sb
0.603 0.802 0.605 Sb
0.802 0.197 0.199 Sb
0.999 0.603 0.801 Sb
0.355 0.355 0.000 H
```

Main lines, low angle first (2θ from 10° to 90°):
2θ (°), I_rel
13.76, 17
18.05, 21
26.70, 46
30.62, 46
31.08, 100
44.19, 69
44.54, 35
52.69, 15
55.01, 34
81.80, 20

=====

Entry 3:
This entry pairs a crystal structure of K6ZnSe4 with its computed powder diffraction line list. Radiation: Cu Ka. Structure: DFT lattice parameters and positions (GGA-PBE).
Peak positions follow from Bragg's law for the DFT cell and can differ from measured ones.

Structure:
```
K6ZnSe4
1.0
10.286 0.000 0.000
-5.143 8.908 0.000
0.000 0.000 7.965
K Zn Se
12 2 8
Direct
0.053 0.527 0.000 K
0.148 0.295 0.680 K
0.148 0.852 0.680 K
0.295 0.148 0.180 K
0.473 0.527 0.000 K
0.473 0.947 0.000 K
0.527 0.053 0.500 K
0.527 0.473 0.500 K
0.705 0.852 0.680 K
0.852 0.148 0.180 K
*/
[The materials data stop here]

Good set of Peregrine photos tony and nice to know that the Kittiwake's are still around i must call over soon,